**File:**
[1]
Density functional theory data (ωB97M-V with the def2-TZVPD basis set) for C25H49NO2SSi2Sm as an isolated structure at a distorted geometry.

Calculated values
- HOMO-LUMO gap (spin up / spin down) (eV) = 6.66 / 6.66
- energy (eV) = -76790.3672
- net charge = +1
- spin multiplicity = 6

```
81
Properties=species:S:1:pos:R:3:forces:R:3
O 0.14979 2.39746 -3.64019 1.1 0.4 0.9
O -0.34502 0.83048 -5.35532 -1.1 -1.5 -2.3
C -0.80209 3.26779 -2.97334 -0.8 0.1 0.2
C -0.30093 3.97756 -1.73244 0.2 0.3 0.3
H -1.66667 2.64898 -2.70858 0.1 0.0 -0.1
H -1.13759 4.01871 -3.70340 0.2 -0.3 0.0
H -0.13656 3.33082 -0.86351 0.0 -0.1 -0.3
H -1.03664 4.71658 -1.39207 -0.1 -0.2 -0.3
H 0.60756 4.55016 -1.93510 0.0 -0.1 0.0
C 1.44358 2.10977 -2.99871 -0.4 0.1 -0.2
C 2.48886 2.81321 -3.84281 0.2 0.3 0.0
H 1.52877 1.01269 -3.00659 0.1 0.3 0.1
H 1.44219 2.45007 -1.95140 -0.1 -0.3 -0.5
H 2.36254 2.53276 -4.90106 0.2 0.1 0.3
H 3.51947 2.58779 -3.53532 -0.3 0.0 0.0
H 2.34218 3.90560 -3.76212 0.1 -0.5 -0.1
C 0.31345 -0.49375 -5.77916 -0.4 0.5 0.4
C -1.11812 1.46414 -6.51517 1.1 -0.4 0.9
C 1.78018 -0.53860 -5.47189 0.5 -0.1 0.2
H 0.13268 -0.61902 -6.85697 -0.1 0.3 0.5
H -0.25756 -1.23875 -5.21259 0.2 0.2 -0.3
H 2.34170 0.31382 -5.86686 -0.2 0.0 0.1
H 2.22466 -1.41972 -5.95105 -0.3 0.0 0.1
H 1.96204 -0.64406 -4.39985 0.0 0.1 -0.1
C -0.00977 2.05776 -7.34852 0.1 0.1 -0.4
H -1.79697 2.18431 -6.05234 0.2 -0.2 0.0
H -1.68151 0.64941 -6.99537 0.2 0.4 0.3
H 0.74559 2.51770 -6.68136 -0.5 0.0 -0.5
H -0.38581 2.81057 -8.04768 0.1 -0.2 0.0
H 0.48426 1.24999 -7.91104 -0.1 0.5 0.0
H 0.05494 1.60296 -4.75828 -0.2 -0.2 0.9
Sm -1.18438 -0.99861 -0.18984 -1.3 0.4 0.8
C -1.70798 -0.62434 -2.35015 0.3 1.3 -3.3
Si -3.24663 -0.85312 -3.38489 -0.1 0.3 0.8
H -0.91766 -0.97885 -3.06942 0.0 -0.1 0.5
H -1.59536 0.50431 -2.51455 0.1 -0.9 0.7
C -4.03433 0.82939 -3.78123 -0.1 -0.1 0.0
C -4.34167 -1.96114 -2.35170 -0.4 0.0 0.0
C -2.98418 -1.70446 -5.03352 0.0 -0.1 -0.3
C -3.32472 0.14280 0.39980 0.6 -0.1 0.0
Si -3.35058 -0.75728 2.03175 -1.2 1.4 -0.7
H -4.26065 0.07458 -0.18529 0.4 -0.1 0.4
H -3.03196 1.20732 0.42513 0.0 -0.3 0.2
C -4.95886 -1.73613 2.00237 0.0 -0.3 0.3
C -3.20016 0.44862 3.46248 0.0 -0.2 0.4
C -1.93268 -2.03478 2.29442 0.3 0.0 0.0
H -3.95799 -2.04992 -5.40947 0.2 0.0 0.0
H -2.32967 -2.57697 -4.93398 -0.1 0.0 0.0
H -2.55143 -1.04796 -5.79927 -0.1 -0.1 0.1
H -4.30252 1.36576 -2.85375 0.1 -0.2 -0.4
H -4.94714 0.69590 -4.39232 0.4 0.2 0.3
H -3.32040 1.45668 -4.35372 -0.3 -0.2 0.3
H -4.28085 -1.65958 -1.29493 -0.1 -0.1 -0.4
H -3.96121 -2.98891 -2.43858 -0.2 0.1 0.0
H -5.39100 -1.92068 -2.67287 0.1 -0.3 0.1
H -3.85726 1.31341 3.29397 0.2 -0.3 0.0
H -2.16876 0.81747 3.56635 -0.2 -0.1 0.0
H -3.48963 -0.01964 4.41495 0.1 0.2 -0.1
H -0.90110 -1.62853 2.33986 -0.3 -0.1 0.1
H -1.95874 -2.89947 1.60440 0.0 0.1 0.2
H -2.11873 -2.43483 3.30131 0.0 0.0 -0.3
H -5.34496 -1.86933 3.02339 0.0 -0.1 -0.3
H -4.81083 -2.73067 1.55478 -0.1 0.2 0.1
H -5.71876 -1.20662 1.40871 0.3 -0.1 0.2
S 2.03660 1.41632 2.22994 -0.1 0.2 0.2
C 0.66439 2.44231 2.35062 -0.6 -0.3 -0.6
C -0.33807 2.05381 1.46959 1.0 0.1 0.7
C 0.01951 0.92571 0.68182 -0.4 -0.6 -0.4
C 1.27311 0.44786 0.99705 0.1 0.6 0.3
C 1.95899 -0.67065 0.34421 -0.2 -0.7 -0.9
C 3.33206 -0.93809 0.46698 -0.1 0.0 0.0
C 3.90169 -1.97756 -0.26122 -0.4 0.1 0.0
C 3.10992 -2.72913 -1.14073 -0.3 -0.1 -0.1
C 1.74958 -2.43618 -1.23485 0.5 0.7 0.8
N 1.18385 -1.44832 -0.49184 1.6 -0.2 0.0
H 0.63549 3.27510 3.05102 0.1 -0.3 -0.1
H -1.30443 2.54923 1.40570 0.2 0.0 0.1
H 3.93028 -0.29996 1.12070 -0.1 -0.3 -0.2
H 4.96175 -2.20287 -0.15440 -0.2 0.1 0.0
H 3.53478 -3.53727 -1.73904 -0.1 0.3 0.2
H 1.08299 -2.98928 -1.90935 0.3 0.2 0.3
```
Positions in Å, forces in eV/Å.

[2]
Density functional theory data (ωB97M-V with the def2-TZVPD basis set) for a 3-piece molecular cluster, C25H50BO6 overall.

Calculated values
- HOMO-LUMO gap (eV) = 6.70
- energy (eV) = -39701.1736
- net charge = -1

```
82
Properties=species:S:1:pos:R:3:forces:R:3

**Job:**
Write out only the lines further above with the word "charge" in them.

**Outcome:**
- net charge = +1
- net charge = -1